_Request_
Could you work out how many lines further down have the word "molecule" in them; a number is enough?

_Excerpt_
=====
ORCA calculation (the ωB97M-V functional and the def2-TZVPD basis) on the molecule C2H3N3O.

Cartesian coordinates (Å):
1 O -2.46 -0.15 -0.01
2 C -1.24 -0.22 -0.01
3 N -0.46 -1.35 0.01
4 C 0.78 -0.94 -0.02
5 N 0.91 0.41 0.00
6 N -0.35 0.91 -0.03
7 H 1.64 -1.59 -0.05
8 H 1.72 1.03 0.01
9 H -0.53 1.90 0.11

Properties
- Multiplicity: 1
- HOMO: -0.3260 hartree
- Gap between HOMO and LUMO: 9.3 eV
- SMILES string: O=c1nc[nH][nH]1
- LUMO level: 0.438 eV
- Largest force on an atom: 1.586 eV/Å


ORCA calculation (the ωB97M-V functional and the def2-TZVPD basis) on a 13-piece molecular cluster, C45H100O27S5 overall.

Cartesian coordinates (Å):
1 C -0.61 -2.20 12.81
2 C -0.19 -2.95 11.54
3 C 0.01 -1.71 10.65
4 O 0.48 -0.60 11.48
5 C 0.36 -1.01 12.89
6 H -0.58 -2.89 13.66
7 H -1.56 -1.68 12.71
8 H -0.98 -3.52 11.06
9 H 0.71 -3.54 11.66
10 H -1.01 -1.52 10.29
11 H 0.69 -1.91 9.82
12 H 0.09 -0.25 13.63
13 H 1.40 -1.27 13.07
14 C 6.12 5.22 4.22
15 C 6.66 6.50 3.74
16 C 8.11 6.12 3.60
17 O 8.20 4.85 3.13
18 C 6.97 4.14 3.49
19 H 5.05 5.12 4.03
20 H 6.15 5.06 5.30
21 H 6.55 7.32 4.44
22 H 6.23 6.86 2.81
23 H 8.59 6.20 4.57
24 H 8.67 6.85 3.02
25 H 7.17 3.25 4.09
26 H 6.49 3.96 2.53
27 C 3.07 -10.87 7.41
28 C 2.34 -11.97 6.73
29 C 0.82 -11.63 6.89
30 O 0.76 -10.45 7.73
31 C 1.92 -9.70 7.51
32 H 4.01 -10.64 6.91
33 H 3.32 -11.19 8.42
34 H 2.65 -12.99 6.97
35 H 2.53 -11.86 5.67
36 H 0.22 -12.42 7.34
37 H 0.33 -11.47 5.93
38 H 1.98 -8.98 8.34
39 H 1.91 -8.98 6.69
40 C -0.36 -3.45 -7.79
41 C -1.76 -3.57 -8.19
42 C -2.50 -3.76 -6.83
43 O -1.47 -3.86 -5.87
44 C -0.19 -4.24 -6.49
45 H -0.06 -2.41 -7.72
46 H 0.30 -3.85 -8.56
47 H -1.94 -4.32 -8.96
48 H -1.91 -2.58 -8.62
49 H -3.21 -4.59 -6.91
50 H -3.08 -2.89 -6.54
51 H -0.09 -5.31 -6.67
52 H 0.42 -3.78 -5.71
53 C -0.69 8.44 5.67
54 C -0.15 8.94 4.33
55 C -1.25 8.52 3.43
56 O -2.53 8.70 4.14
57 C -2.21 8.67 5.53
58 H -0.35 9.05 6.51
59 H -0.44 7.41 5.91
60 H 0.81 8.54 4.01
61 H -0.26 10.02 4.23
62 H -1.04 7.59 2.88
63 H -1.32 9.24 2.62
64 H -2.81 8.01 6.15
65 H -2.49 9.68 5.85
66 C -6.62 2.32 5.18
67 C -7.34 3.54 4.59
68 C -7.95 4.27 5.69
69 O -7.30 3.70 6.87
70 C -6.26 2.85 6.48
71 H -5.66 2.03 4.75
72 H -7.31 1.47 5.26
73 H -8.07 3.26 3.83
74 H -6.59 4.21 4.18
75 H -9.01 4.05 5.77
76 H -7.70 5.32 5.58
77 H -6.00 2.19 7.31
78 H -5.31 3.38 6.40
79 O -4.60 4.98 -7.68
80 S -5.58 5.36 -8.67
81 O -5.83 6.74 -9.19
82 O -5.33 4.28 -9.95
83 C -5.78 4.70 -11.29
84 C -5.64 3.36 -12.21
85 C -7.21 4.53 -8.16
86 H -4.94 5.35 -11.52
87 H -6.58 5.41 -11.51
88 H -6.07 3.41 -13.21
89 H -6.13 2.51 -11.72
90 H -4.61 3.08 -12.41
91 H -7.35 4.93 -7.16
92 H -7.01 3.46 -8.17
93 H -7.90 4.77 -8.97
94 O -8.63 -1.29 -2.74
95 S -8.53 -0.28 -1.66
96 O -9.23 0.97 -1.61
97 O -8.91 -1.15 -0.29
98 C -8.65 -2.55 -0.19
99 C -9.12 -3.28 1.11
100 C -6.74 0.04 -1.31
101 H -7.57 -2.63 -0.32
102 H -9.17 -3.11 -0.97
103 H -8.95 -4.35 1.05
104 H -10.21 -3.30 1.02
105 H -8.68 -2.88 2.02
106 H -6.67 0.49 -0.33
107 H -6.55 0.87 -1.99
108 H -6.22 -0.88 -1.60
109 O -0.43 1.53 0.60
110 S 0.76 1.36 -0.34
111 O 1.76 2.37 -0.52
112 O 1.62 0.04 0.13
113 C 0.90 -1.12 0.56
114 C 1.11 -1.21 2.07
115 C 0.13 0.74 -1.93
116 H 1.36 -1.93 -0.01
117 H -0.18 -1.01 0.43
118 H 0.62 -2.08 2.49
119 H 0.72 -0.32 2.57
120 H 2.15 -1.27 2.39
121 H -0.37 -0.22 -1.90
122 H 0.84 0.72 -2.76
123 H -0.63 1.49 -2.15
124 O 9.15 8.19 -4.01
125 S 7.76 7.94 -4.35
126 O 6.67 8.69 -3.68
127 O 7.69 8.36 -5.97
128 C 6.40 8.30 -6.56
129 C 6.56 8.40 -8.08
130 C 7.30 6.15 -4.53
131 H 5.78 9.13 -6.23
132 H 5.89 7.37 -6.30
133 H 7.06 9.33 -8.35
134 H 5.55 8.50 -8.46
135 H 7.00 7.56 -8.63
136 H 6.27 5.95 -4.81
137 H 7.45 5.73 -3.53
138 H 7.92 5.60 -5.24
139 O 6.39 -5.84 4.44
140 S 7.08 -6.21 3.19
141 O 7.92 -7.42 3.10
142 O 5.92 -6.34 2.02
143 C 6.12 -6.91 0.77
144 C 5.07 -7.95 0.50
145 C 8.02 -4.80 2.44
146 H 7.06 -7.47 0.69
147 H 6.23 -6.12 0.03
148 H 4.12 -7.46 0.25
149 H 4.78 -8.53 1.37
150 H 5.34 -8.64 -0.30
151 H 7.38 -3.94 2.64
152 H 8.24 -4.87 1.37
153 H 8.98 -4.84 2.96
=====

_Done_
1